I work elections, so it is hard for me to believe anything was amiss in Michigan, but to a lesser degree, something similar happened here too. The Felon won (ick), yet so did Slotkin and Democrat endorsed judges.
Know a tree by its fruit. The scramble to control government data, to substitute "DOGE" for government itself, the rush to load up long term obligations to Musk industries--it all looks like a plan to steal an election, steal the data that would reveal it, and turn govt into an ATM for tech bros.
We know they cheated, they know they cheated, GOD and Satan knows they cheated. But they still take it that they won. They proved to one and all that they can cheat and nobody will do anything about it. They pat themselves on the back and continue to do it. No one will stop them at this point.
I had reservations about Harris, because of genocide in Gaza. I wrote her a letter and then voted for her. I also voted for every Democrat down-ticket. All it takes, to explain the gap between Harris and down-ticket, is enough people with the same reservations.
6 of jan so burned in the memories of BLUE side, that doing the same now is not an option, As many ventilated their thoughts of this 6 jan. and make it impossible for them to change that mind.
They hold on to the law (still), when in their faces it let them down. Convicted person becomes president?
Inauguration? HE decided to do it inside, well of course, else the world would have seen only a hand full of people celebrating and coming to see him.
The streets should have been full all over America with parties and celebrations. Where were they?
The internet all pro harris (worldwide).
There should even be many "Counter" demonstrations from red side , not? but there aren't any.And there should have been a MILITARY coup already if we hold on to the law and agreements in how to handle the law and constitution!
Millions of people should be on the streets daily protesting!
But protesting is not a option (anymore) for many,
We have seen countless demonstrations be torn down HARD by governmental people. It made our brain conclude that walking that road is dangerous, you can be ridiculed, arrested or even worst hurt! Your brain doesn't like that feeling.
I suspected this all along. It just wasn't making any sense. Just like the Senate race in my state. Feel unusual, just too unbalanced. Thank you for bringing this back to light.
"Bullet ballots" is a term for ballots from voters who only cared about one candidate. Another possible factor: Democrats who voted down-ticket but couldn't bring themselves to endorse genocide in Gaza. There's a basic political reality: some liberals really, really don't like genocide.
There was a very interesting article in Wired in the Nov/Dec issue where they showed how the election was stolen by malware downloaded into the voting machines themselves. And of course, Trump loves to brag about how they cheated too
Yep 💯 This election was rigged PERIOD…..there is no way that Trump won! The millions of people that didn’t vote and millions that despised Trump doesn’t add up to a win. Manipulation of the voting system is how👎But the truth will find you everytime, UNITED WE STAND 🙏
I’m not a conspiracy theorist, but I can’t believe that the orange turd won every swing state election. Komrade Musk is not to be trusted. Vote totals came in way too quick. Historically it takes weeks. This election was over in about two days. Definitely fishy!
Various documentary explaining how the 2000 election was stolen through software modifications. The guy who was hired to do it confessed. I believe there was even a trial.
Harris in October was the most popular candidate for president in the past 70 years. We had record turnout and registrations. 20 million votes are missing. Let it sink in.
On Friday, lawyers for Griffin laid out their case for retroactively disqualifying 65,000 ballots, disenfranchising tens of thousands of registered voters and overturning the election results
If the evidence is still there, why isn't anybody using it? I believe they've probably erased it all by now the same way they're removing all barriers to continue to be as corrupt as they want to be.
Of course she did. Before the election was over. McFelon kept saying we don’t need your votes we have enough… after they stole it… he said me and Musk have a secret.
Exactly- in AZ Kari Lake lost the senate seat by 4% statewide but tRump won the state by 6%….all of the “swing states” have similar numbers, and they all add up to cheating
They counted on us holding to the norms and not making a stink after everything trump had done… the see this is a peaceful transfer of power. They cheated and we have to prove it
Isn’t it strange Harris/Walz had huge exciting rallies and Trump couldn’t fill a high school gym and we still lost? All 7 swing states win by a margin that does not trigger a recount? Fewer votes while pollsters were saying there was record turnout? Hmmm. https://blogs.microsoft.com/on-the-issue...
Trump was not lying! Musk did rig the election.
I want an investigation into the election results. They beat the election and bragged about it on 4 different occasions.
I have always said that, no matter what you want to believe, the people DO NOT elect who is president. The electoral college does. The electoral college needs to be eliminated and let the popular vote decide on the president.
**Misplaced calculated molecules:**
'''
The following is a quantum chemistry calculation of a molecular structure, C22H42BrN2OP2Pr at a distorted geometry, from the OMol25 dataset.

The geometry in XYZ format:
```
71
Properties=species:S:1:pos:R:3:forces:R:3
Pr 0.45876 -0.31362 0.19515 1.8 -0.1 0.7
P -0.72757 0.60382 2.44261 1.0 0.0 -3.2
P 0.92492 -0.01196 -2.44879 -1.1 0.8 2.9
N 0.32159 2.09551 -0.15438 -1.1 -1.9 -0.1
C -0.33308 2.37262 2.19202 -0.2 0.4 0.5
H -1.00223 2.87933 2.89716 0.4 0.5 -0.1
H 0.71836 2.52591 2.49824 -0.5 0.0 0.0
C -0.51787 2.88552 0.74488 0.4 0.0 0.1
H -1.60026 2.87074 0.47107 0.5 0.0 0.0
H -0.19035 3.95023 0.69301 -0.3 -0.4 0.2
C 0.24912 2.59952 -1.52578 0.4 0.0 0.2
H 0.55960 3.67058 -1.52760 -0.2 -0.5 -0.3
H -0.77958 2.56478 -1.95863 0.4 0.0 0.2
C 1.22282 1.79227 -2.41566 0.2 0.2 -0.6
H 2.25681 1.95227 -2.05753 -0.4 0.0 -0.3
H 1.14834 2.07729 -3.47176 0.3 0.5 0.2
C -0.41246 -0.42896 -3.52045 0.0 -0.3 -1.0
C -1.09805 -1.77395 -3.25083 -0.1 0.0 -0.4
H -1.93689 -1.87326 -3.95008 0.1 0.0 0.1
H -1.51201 -1.86338 -2.23981 0.1 0.1 -0.2
H -0.42063 -2.61808 -3.43737 -0.2 0.3 -0.1
C 2.49628 -0.91106 -2.42286 -0.2 0.1 -0.7
C 2.30076 -2.42314 -2.42135 0.2 -0.2 0.1
H 3.27445 -2.90974 -2.33054 0.0 0.0 -0.2
H 1.82325 -2.77066 -3.34675 0.2 0.1 0.2
H 1.70831 -2.77927 -1.57161 0.3 0.3 -0.2
C 0.47608 -0.15656 3.55969 -0.6 0.2 0.5
C 0.20653 -1.64203 3.78032 0.2 -0.1 0.1
H 1.00139 -2.06326 4.40016 -0.1 0.0 0.1
H 0.21536 -2.22258 2.85201 0.2 0.3 0.3
H -0.75356 -1.81212 4.28468 0.2 0.0 -0.1
C -2.46589 0.33699 2.56070 -0.6 -0.1 0.8
C -2.95264 -1.08296 2.24294 -0.3 0.1 0.3
H -4.04762 -1.08672 2.30210 0.2 -0.1 0.0
H -2.58884 -1.81161 2.97922 -0.2 0.3 -0.1
H -2.68649 -1.42590 1.23685 0.0 0.1 0.2
C -1.87274 0.19663 -0.65666 -3.7 0.7 -1.3
O -2.93232 0.43430 -1.04466 3.3 -0.5 1.2
C 3.30321 -0.40481 -3.60138 0.9 -0.2 -0.1
H 2.85297 -0.70852 -4.54994 0.1 0.1 0.2
H 3.41907 0.68352 -3.58859 0.0 -0.2 -0.1
H 4.29195 -0.85220 -3.53202 0.3 0.1 -0.3
C 0.45371 0.65783 4.83803 0.7 -0.1 0.7
H 1.25089 0.28163 5.47506 0.0 0.2 0.3
H 0.63586 1.72164 4.65527 0.0 -0.2 0.1
H -0.49577 0.53966 5.36705 0.2 0.0 -0.1
C -2.83987 0.80384 3.95011 -1.3 0.1 0.4
H -3.92490 0.86048 3.98945 -0.2 0.1 0.4
H -2.51223 0.08881 4.71318 -0.1 0.1 -0.1
H -2.43956 1.79806 4.18302 -0.1 -0.2 0.0
C 0.15427 -0.31282 -4.91840 -0.8 -0.1 -1.0
H 0.81822 -1.15302 -5.15140 -0.1 0.2 0.0
H -0.68389 -0.34826 -5.61018 0.1 0.0 -0.4
H 0.68792 0.63166 -5.08042 -0.1 -0.2 0.0
H -1.15197 0.36505 -3.33033 0.3 0.0 -0.1
H -2.88217 1.01035 1.79487 0.1 0.0 0.2
H 2.99939 -0.62711 -1.47689 -0.1 0.1 -0.2
H 1.46510 -0.05471 3.06998 -0.3 0.2 0.1
H 2.77732 0.65235 1.16516 0.0 -1.0 -0.3
H 2.78590 -0.11885 1.04272 0.4 1.0 0.3
Br -1.96351 -5.52172 3.04235 0.1 0.2 -0.1
C -1.13368 -4.84839 1.48475 -0.4 -0.4 -0.1
C -0.84845 -5.72458 0.44019 0.5 1.5 -0.4
C -0.39254 -5.12301 -0.73608 -0.4 -0.2 0.4
C -0.18121 -3.75850 -0.82910 -0.5 -0.4 2.4
N -0.30610 -2.91885 0.25662 -1.7 -1.2 -0.1
C -0.92584 -3.48170 1.36524 1.2 -1.0 -2.3
H -1.02260 -6.77629 0.50468 -0.1 -0.4 0.1
'''
It was stolen, there are IT people who have basically proven that.
Personally, I think leaders didn’t speak out beforehand because the proof was still being compiled, and they didn’t speak out after because it would result in a civil war - literally. Some argue that’s where we’re heading anyway.
Elon said: "All you have to do is modify a single line of code". Along with that, all of the swing States used Starlink to transmit results. It doesn't take a brain surgeon to figure this out. WE SHOULD HAVE AUDITED THE SWING STATES. THERE WOULD HAVE BEEN NO HARM IN DOING IT. KAMALA WAS ROBBED!!!
_What comes next are records of molecules, not part of the entry_
____________
152
Properties=species:S:1:pos:R:3 method="wB97M-V/def2-TZVPD" e_above_lowest_ev=0.3533 homo_ev=-9.56 orbital_gap_ev=9.93 energy_ev=-162467.191
C -13.834 -14.739 13.283
C -15.323 -14.398 13.452
O -15.786 -14.129 14.844
C -16.110 -15.186 15.591
O -16.371 -16.340 15.282
C -16.154 -14.869 17.053
F -17.436 -15.086 17.533
F -15.264 -15.682 17.695
F -15.811 -13.551 17.310
H -13.602 -14.917 12.190
H -13.614 -15.636 13.827
H -13.212 -14.027 13.684
H -16.034 -15.121 12.997
H -15.543 -13.468 12.989
C -18.532 -10.983 12.548
C -18.762 -11.575 11.144
O -18.935 -10.559 10.123
C -17.909 -9.910 9.673
O -16.733 -10.104 9.864
C -18.418 -8.697 8.830
F -18.263 -8.974 7.534
F -19.682 -8.461 9.095
F -17.696 -7.596 9.148
H -18.543 -11.812 13.183
H -19.312 -10.226 12.892
H -17.536 -10.525 12.609
H -19.746 -12.081 11.228
H -17.952 -12.229 10.857
C -24.120 -11.995 15.318
C -23.813 -13.228 16.174
O -22.629 -12.862 17.028
C -22.583 -13.493 18.189
O -23.299 -14.361 18.625
C -21.516 -12.898 19.103
F -20.511 -12.322 18.428
F -22.050 -12.024 19.923
F -20.967 -13.911 19.791
H -24.136 -11.122 15.921
H -25.139 -12.152 14.929
H -23.489 -11.788 14.463
H -23.554 -14.084 15.581
H -24.676 -13.480 16.860
C -9.193 -10.550 26.400
C -10.492 -11.326 26.265
O -11.068 -11.210 24.910
C -11.951 -12.069 24.413
O -12.235 -13.142 24.855
C -12.701 -11.580 23.093
F -12.356 -10.305 22.847
F -12.407 -12.380 22.055
F -13.992 -11.723 23.325
H -9.122 -9.505 26.016
H -8.376 -11.143 25.955
H -8.971 -10.614 27.469
H -11.327 -10.957 26.866
H -10.387 -12.436 26.584
C -23.778 -5.468 12.754
C -22.758 -5.803 13.788
O -21.509 -5.924 13.106
C -20.422 -5.976 13.826
O -20.330 -5.692 15.004
C -19.062 -6.352 13.043
F -18.285 -7.222 13.626
F -19.406 -6.907 11.815
F -18.359 -5.267 12.875
H -23.513 -4.515 12.260
H -24.703 -5.298 13.311
H -23.938 -6.266 11.997
H -22.903 -6.729 14.400
H -22.643 -4.999 14.534
C -13.634 -10.792 19.529
C -13.960 -10.585 18.062
O -15.391 -10.486 17.968
C -15.854 -10.488 16.731
O -15.179 -10.679 15.709
C -17.371 -10.284 16.743
F -17.957 -10.121 17.991
F -17.740 -9.272 15.989
F -17.883 -11.410 16.182
H -14.334 -11.475 20.034
H -13.730 -9.834 20.058
H -12.569 -11.092 19.506
H -13.636 -11.474 17.480
H -13.554 -9.668 17.648
C -21.130 -15.611 10.013
C -21.197 -16.417 11.316
O -20.330 -15.727 12.359
C -21.017 -15.147 13.307
O -22.218 -14.926 13.327
C -20.201 -14.487 14.451
F -18.949 -14.300 14.018
F -20.674 -13.266 14.705
F -20.226 -15.130 15.597
H -21.794 -14.744 10.220
H -21.540 -16.246 9.223
H -20.124 -15.182 9.816
H -20.646 -17.350 11.185
H -22.271 -16.628 11.475
C -16.814 -4.930 17.130
C -17.323 -6.384 17.064
O -18.074 -6.748 18.257
C -17.357 -7.196 19.297
O -16.217 -7.551 19.334
C -18.207 -7.317 20.554
F -18.753 -6.198 20.955
F -19.086 -8.234 20.162
F -17.596 -7.862 21.611
____________
p.s. I know they cheated…”me & elon have a secret”.
They hold on to the law (still), when in their faces it let them down. Convicted person becomes president?
The streets should have been full all over America with parties and celebrations. Where were they?
The internet all pro harris (worldwide).
Millions of people should be on the streets daily protesting!
We have seen countless demonstrations be torn down HARD by governmental people. It made our brain conclude that walking that road is dangerous, you can be ridiculed, arrested or even worst hurt! Your brain doesn't like that feeling.
We can also be hurt sitting home when they break in your door after doing nothing.
These quantum chemistry results were left in the article by mistake:
- - -
1.
The following is a DFT calculation (wB97M-V/def2-TZVPD) of C10H33FN9O6Tl as an isolated structure.

The charge is +2. Its multiplicity is 1. The HOMO energy comes out at -13.483 eV.

XYZ file:
```
60
C10H33FN9O6Tl | the Open Molecules 2025 dataset | wB97M-V/def2-TZVPD
Tl 4.00600 -2.59845 3.41441
F 0.17466 0.42971 2.26367
C -3.22636 0.21677 -3.37966
C -2.08320 1.14276 -3.76794
O -1.77563 1.91943 -2.66037
H -4.15290 0.78105 -3.27388
H -3.11774 -0.29856 -2.42534
H -3.37805 -0.61041 -4.07311
H -2.20502 1.65263 -4.72361
H -1.19665 0.52712 -3.92001
H -1.48467 1.32225 -1.96731
C -2.07632 -2.88754 7.17237
O -0.89339 -2.76612 7.20866
N -2.93005 -3.52315 8.02597
N -2.70744 -2.18986 6.31054
H -2.61195 -3.80278 8.94288
H -3.90077 -3.27902 7.89099
H -2.10410 -1.78608 5.60837
H -3.63931 -2.48814 6.06006
C -0.49079 -4.89145 -2.16528
O 0.30254 -4.39715 -1.37989
N -0.07714 -5.15554 -3.36964
N -1.65940 -5.43644 -1.94666
H 0.78269 -4.71539 -3.66474
H -0.58564 -5.68631 -4.06231
H -2.25892 -5.88062 -2.62737
H -1.72119 -5.61794 -0.95502
C -5.77616 4.04105 2.25343
O -6.91029 4.31830 2.59208
N -5.23366 2.90569 2.51189
N -5.13082 4.74684 1.33514
H -5.84105 2.22979 2.95270
H -4.37041 2.57581 2.10437
H -5.55135 5.60471 1.00756
H -4.27295 4.34108 0.98945
C 1.17559 4.85269 6.09557
O 1.30216 5.53829 7.11557
N 1.97274 4.82474 5.12152
N 0.22676 3.94787 5.99422
H 2.77007 5.43879 5.20698
H 1.79630 4.29584 4.27936
H 0.26132 3.25312 5.26194
H -0.34316 3.97755 6.82754
C 4.47796 1.52046 -3.02182
C 4.30472 -0.00030 -3.34806
C 4.42345 -0.29946 -4.87668
O 4.42857 -1.72335 -5.08646
C 4.61676 -2.15057 -6.37367
N 5.33764 -0.82140 -2.65906
H 3.98186 1.78226 -2.08724
H 3.96961 2.05343 -3.82531
H 5.49666 1.86171 -2.83761
H 3.31221 -0.28256 -2.99686
H 5.45671 -0.08426 -5.14903
H 3.68923 0.09424 -5.57954
H 5.67113 -2.19297 -6.64681
H 4.03136 -1.56034 -7.07869
H 4.29174 -3.18895 -6.43868
H 5.19583 -1.47863 -3.41273
H 6.25021 -0.40221 -2.76683
```


2.
The following is a DFT calculation (wB97M-V/def2-TZVPD) of C10H34F3GaN17O12S as an isolated structure.

The charge is -1. Its multiplicity is 1. For the energy above the lowest of the compared OMol25 structures with the same formula, charge and spin, the calculation gives 33.4 kcal/mol. The HOMO energy comes out at -6.798 eV.

XYZ file:
```
78
C10H34F3GaN17O12S | the Open Molecules 2025 dataset | wB97M-V/def2-TZVPD
O -1.24879 1.99944 2.54533
C -0.88946 1.05781 1.82782
F -0.58632 1.31696 0.43800
N -0.78339 -0.35441 2.25261
Ga 1.06371 -0.99179 2.29234
S 2.49923 0.77285 1.86803
O 2.10907 2.07360 2.53596
O 2.54624 0.98631 0.35979
F 4.08093 0.41947 2.41018
C -1.60321 -1.08083 1.24739
O -1.14375 -1.68382 0.25584
F -3.01968 -0.99094 1.47864
H 1.27431 -2.14526 1.18249
H 1.38384 -1.69955 3.71469
C -3.92558 -4.40827 1.10693
O -3.40440 -3.98544 2.12607
N -4.86281 -5.39045 1.11683
N -3.61335 -3.93355 -0.12668
H -5.30197 -5.75029 0.28905
H -5.12530 -5.77329 2.01908
H -2.91960 -3.20166 -0.17655
H -4.03027 -4.26805 -0.97584
C 1.86587 5.86704 0.58126
- - -
So much for the quantum chemistry results:
People sat down on their hands cause they couldn’t vote for a woman.. again.
A bit more showed up for the moron.. but 7 mm less decided to stay home and 30 mm plus didn’t bother.
The losing side will always be suspicious.
The message is clear.
Please read how they rigged the election
There's not a snowball's chance in hell that the orange sack of wet garbage won legitimately. ⬇️
I want an investigation into the election results. They beat the election and bragged about it on 4 different occasions.
The problem is not one Democratic politician questioned the results of the 2024 election.
Personally, I think leaders didn’t speak out beforehand because the proof was still being compiled, and they didn’t speak out after because it would result in a civil war - literally. Some argue that’s where we’re heading anyway.